-- begin --
This record from Materials Project describes an optimized crystal structure of V3S5. The functional is r²SCAN.

Cell lengths 5.7897, 6.6590, 8.1384 Å; angles 108.21, 110.16, 91.01 degrees
Space group P-1 (No. 2)
One atom of each set of equivalent atoms:
V 0.0000 0.0000 0.0000 [1 per cell]
V 0.1143 0.7157 0.2305 [2 per cell]
V 0.3189 0.1222 0.6177 [2 per cell]
V 0.5000 0.5000 0.0000 [1 per cell]
S 0.0142 0.9506 0.6896 [2 per cell]
S 0.1891 0.4500 0.6996 [2 per cell]
S 0.2041 0.3587 0.0918 [2 per cell]
S 0.3811 0.8489 0.1016 [2 per cell]
S 0.4178 0.7530 0.5047 [2 per cell]

Results
Its total energy is -91.28 eV/f.u. The calculated density is 3.8 g/cm3. For the energy relative to the elements, the calculation gives -8.84 eV/f.u.

This record from Materials Project describes an optimized crystal structure of Tb2Ti2O7. The functional is r²SCAN.

Cell lengths 7.5025, 5.3322, 13.0737 Å; angles 90.00, 98.37, 90.00 degrees
Space group P2_1 (No. 4)
One atom of each set of equivalent atoms:
Tb 0.1423 0.0000 0.0646 [2 per cell]
Tb 0.2330 0.5886 0.4217 [2 per cell]
Tb 0.2845 0.1111 0.6308 [2 per cell]
Tb 0.3541 0.5767 0.8857 [2 per cell]
Ti 0.0302 0.5916 0.6212 [2 per cell]
Ti 0.0720 0.0740 0.8205 [2 per cell]
Ti 0.4108 0.5637 0.1733 [2 per cell]
Ti 0.4699 0.0920 0.3750 [2 per cell]
O 0.0110 0.9219 0.6795 [2 per cell]
O 0.0564 0.3189 0.5235 [2 per cell]
O 0.0748 0.7958 0.9074 [2 per cell]
O 0.1269 0.4023 0.7318 [2 per cell]
O 0.1386 0.2906 0.9312 [2 per cell]
O 0.1724 0.6816 0.1871 [2 per cell]
O 0.2218 0.0140 0.3855 [2 per cell]
O 0.2725 0.7011 0.5909 [2 per cell]
O 0.3265 0.9817 0.8046 [2 per cell]
O 0.3669 0.2627 0.1170 [2 per cell]
O 0.4126 0.7680 0.0538 [2 per cell]
O 0.4241 0.4250 0.3221 [2 per cell]
O 0.4561 0.3219 0.5253 [2 per cell]
O 0.4875 0.4017 0.7347 [2 per cell]

Results
Its total energy is -170.55 eV/f.u. The calculated density is 6.7 g/cm3. For the energy relative to the elements, the calculation gives -40.41 eV/f.u.

This record from Materials Project describes an optimized crystal structure of RbW3O9. The functional is r²SCAN.

Cell lengths 7.4074, 7.4074, 7.6441 Å; angles 90.00, 90.00, 120.00 degrees
Space group P3 (No. 143)
One atom of each set of equivalent atoms:
Rb 0.0000 0.0000 0.0000 [1 per cell]
Rb 0.0000 0.0000 0.4995 [1 per cell]
W 0.0000 0.4987 0.2456 [3 per cell]
W 0.0000 0.5058 0.7457 [3 per cell]
O 0.0009 0.5024 0.4956 [3 per cell]
O 0.2092 0.4215 0.7462 [3 per cell]
O 0.2106 0.4216 0.2451 [3 per cell]
O 0.4215 0.2092 0.7450 [3 per cell]
O 0.4216 0.2106 0.2462 [3 per cell]
O 0.4985 0.4976 0.9956 [3 per cell]

Results
Its total energy is -252.44 eV/f.u. The calculated density is 7.1 g/cm3. For the energy relative to the elements, the calculation gives -30.65 eV/f.u.

This record from Materials Project describes an optimized crystal structure of UPSe. The functional is r²SCAN.

Cell lengths 3.8926, 3.8926, 8.5911 Å; angles 90.00, 90.00, 90.00 degrees
Space group P4/nmm (No. 129, origin choice 2)
One atom of each set of equivalent atoms:
U 0.2500 0.2500 0.2452 [2 per cell]
P 0.2500 0.7500 0.5000 [2 per cell]
Se 0.2500 0.2500 0.8706 [2 per cell]

Results
Its total energy is -107.18 eV/f.u. The calculated density is 8.9 g/cm3. For the energy relative to the elements, the calculation gives -3.93 eV/f.u.

This record from Materials Project describes an optimized crystal structure of V4O3F9. The functional is r²SCAN.

Cell lengths 5.0868, 5.2915, 8.8772 Å; angles 72.69, 88.82, 61.44 degrees
Space group P1 (No. 1)
One atom of each set of equivalent atoms:
V 0.0000 0.0000 0.0000 [1 per cell]
V 0.2428 0.4987 0.7432 [1 per cell]
V 0.5119 0.0349 0.4748 [1 per cell]
V 0.7561 0.5167 0.2381 [1 per cell]
O 0.1024 0.2768 0.8268 [1 per cell]
O 0.5834 0.2627 0.3258 [1 per cell]
O 0.9229 0.7709 0.1463 [1 per cell]
F 0.0189 0.8054 0.8439 [1 per cell]
F 0.0732 0.2712 0.4163 [1 per cell]
F 0.4256 0.7662 0.6493 [1 per cell]
F 0.4377 0.7600 0.0612 [1 per cell]
F 0.4978 0.2485 0.6214 [1 per cell]
F 0.5192 0.7720 0.3580 [1 per cell]
-- stop --

Please filter the rows further up: keep the lines with the word "set".

One atom of each set of equivalent atoms:
One atom of each set of equivalent atoms:
One atom of each set of equivalent atoms:
One atom of each set of equivalent atoms:
One atom of each set of equivalent atoms: